Monday evening’s Clear Lake City Council meeting was dominated by a variety of motions pertaining to the Clear Lake Fire Department.
Council took unanimous action (member Chad Nelson abstained as he is a firefighter) to move to a quarterly payroll system utilizing direct deposit, to distribute credit cards for the fire chief and one assistant chief (a card for the other assistant is being researched), and to have the CLFD Relief Association join PERA, the State of MN retirement system.
The firefighter annual retirement benefit was also approved at a level to not exceed $3,800 (this requires a vote of the membership of the relief association). Assistant Chief Matt Lunser presented the most recent audit of the relief funding mechanism, which showed that it will still maintain a healthy cushion even with the increase. Mayor Tim Goenner opined that maybe the increase will entice more new recruits for the department, which is approved for an additional dozen or so new firefighters to be fully staffed.
Arrangement A

2 unconnected molecules or ions with the total composition C3H6O, computed with wB97M-V/def2-TZVPD.

Last column: Löwdin charge in e.
Atoms and positions in Å:
H: 0.090 0.236 1.690  0.064
C: 0.829 -0.560 1.850  -0.154
C: -0.044 0.787 -1.115  -0.091
H: 0.201 1.320 -0.207  0.026
H: -1.119 -0.465 -2.270  0.044
C: -1.195 0.162 -1.393  -0.065
O: 0.635 -1.663 1.421  -0.006
H: 1.744 -0.365 2.447  0.085
H: -1.939 -0.070 -0.646  0.049
H: 0.798 0.618 -1.778  0.049

Frontier orbital gap   11.02 eV
LUMO energy   0.0309 hartree
Structure (SMILES)   C=C.C=O


Arrangement B

A single C3H6O molecule, computed with wB97M-V/def2-TZVPD.

Last column: Löwdin charge in e.
Atoms and positions in Å:
O: 1.222 -1.339 0.339  0.064
H: 0.100 1.469 1.040  0.084
C: 0.427 -0.451 0.118  -0.503
H: 0.306 0.106 2.183  0.081
H: -1.013 -0.715 -1.444  0.089
H: 0.657 -0.529 -2.011  0.082
H: -1.219 0.324 1.275  0.086
C: -0.128 0.413 1.230  -0.031
C: -0.074 -0.170 -1.284  -0.030
H: -0.279 0.892 -1.446  0.077

Frontier orbital gap   10.65 eV
LUMO energy   0.0354 hartree
Structure (SMILES)   CC(C)=O


Arrangement C

A single C3H6O molecule, computed with wB97M-V/def2-TZVPD.

Last column: Löwdin charge in e.
Atoms and positions in Å:
C: 0.833 -0.302 0.341  -0.116
H: -0.942 -0.515 1.606  0.083
C: -0.409 -0.219 -0.489  -0.407
H: 1.578 0.471 0.077  0.112
H: 0.187 0.702 -2.093  0.121
H: -0.571 1.252 1.164  0.114
O: -0.511 0.833 -1.396  -0.041
H: 1.230 -1.273 0.595  0.092
H: -0.945 -1.127 -0.776  0.138
C: -0.449 0.177 0.971  -0.096

Frontier orbital gap   11.18 eV
LUMO energy   0.0399 hartree
Structure (SMILES)   OC1CC1


Which is most stable, and by how much? arrangement B, by 27.9 kcal/mol.


Arrangement A

A gas-phase ion, C2H7N2O3 (charge +1), computed with wB97M-V/def2-TZVPD.

Last column: Löwdin charge in e.
Atoms and positions in Å:
H: -1.374 -0.080 -0.922  0.107
H: -0.787 0.283 1.378  0.151
O: 1.523 0.769 -0.969  0.213
H: -0.091 1.764 0.988  0.194
N: -0.408 0.828 0.631  0.145
O: 1.185 -0.992 0.511  0.033
H: 1.545 -2.683 -0.494  0.110
N: 0.806 -2.033 -0.340  0.126
O: 1.987 1.197 0.228  0.190
C: 1.084 0.231 0.102  -0.609
H: -1.541 1.706 -0.981  0.100
H: -2.401 0.717 0.207  0.081
H: 0.023 -2.548 0.033  0.109
C: -1.551 0.842 -0.373  0.051

Frontier orbital gap   11.66 eV
Charge   +1
LUMO energy   -0.1277 hartree
Structure (SMILES)   C[NH2+]C1(ON)OO1


Arrangement B

A gas-phase ion, C2H7N2O3 (charge +1), computed with wB97M-V/def2-TZVPD.

Last column: Löwdin charge in e.
Atoms and positions in Å:
O: -2.810 1.055 -0.009  0.106
N: 0.217 -0.452 -0.092  0.125
O: -1.338 1.398 0.155  0.037
C: -0.839 -1.512 -0.090  0.029
H: 2.576 1.403 0.574  0.137
O: 0.708 1.810 0.165  0.030
H: -1.200 -1.546 0.908  0.096
H: -3.211 1.822 0.442  0.136
C: -0.083 0.793 0.023  -0.326
H: -0.327 -2.538 -0.425  0.164
H: 1.125 -0.935 -0.195  0.189
H: -1.555 -1.297 -0.754  0.045
N: 2.032 1.669 -0.270  0.123
H: 2.275 2.535 -0.697  0.110

Frontier orbital gap   10.42 eV
Charge   +1
Council has been studying the parking situation on Church Street, noting that if cars are parked on both sides, fire trucks and other emergency vehicles may have a hard time transversing the roadway.
A possible solution of have no parking on the east side of the street drew opposition from several citizens in attendance at the meeting. It was noted that most mailboxes are on the opposite side of the street and if parking is allowed there, no mail will be delivered. Mayor Goenner asked about the idea of widening the street, and again the residents balked at that solution.
In the end, Goenner volunteered to speak with the postmaster to see if two mailboxes could be moved across the street and then perhaps the west side could be the no parking zone.
He will report back to council next month (the September meeting was moved to September 3 due to the Labor Day holiday) and council will consider the ordinance change.
In Other Business, the Council:
• Accepted donations from Travelers Country Club, the Clear Lake Lions and LDG Drywall for the Fire Department;
• Learned that the job offer for the Public Works Director position is still being considered by the preferred candidate;
• Discussed appointing a sub-committee to look at the fire contract between the city and both Clear Lake and Palmer Townships to ensure it is supported by all;
• Heard from Sgt. Kevin Grams about last month’s 49 calls for service from the SCSO. Goenner asked for additional patrols for speeding, as the Monticello bridge project has meant much more traffic routing through the city. He also noted a motorcycle that is far surpassing the posted speed limit most mornings at around 6:30 a.m.;
• Heard the monthly Fire Department report from Chief Ron Koren;
• Listened to a presentation from Matt Eggert from Heartland Security about costs for a camera system and access card security installation which would help secure city properties. Council took the issue under advisement.